popular politicianin thecountry today,is working
towardsa consensusto ensurevictory of the candidatehe
Withthe presidentialelectionsslatedfor December
7thisyear,it is veryclearthatthevariationsof the
theme of “strongleader”will be played out. The
differencesbetween the communitieswillonlygrowas
politicians seek to takeadvantage of thecurrent
Sirisena’s releaseof GnanasaraThero,whowasjailed
for contempt of court,andhis talking toughwiththe
Inspector General of Policeandasking theDefence
Kathiravelu Nithyananda Douglas
Devananda,secretarygeneralof the Eelam
People’s DemocraticParty(EPDP),rep-
resents Sri Lanka’snorthernJaffnaelect-
oraldistrict. A former memberof the
Eelam Revolutionary Organisation
(EROS),a militant groupwhichwasstar-
ted in 1975tofight for the causeof a separ-
ate TamilEelam,Devananda wastrained
in armed combat by the Al Fatahfaction of
the Palestine Liberation Organisation
(PLO) in the 1970s.He wasalsoa founder-member of
theEelamPeople’s RevolutionaryLiberationFront
(EPRLF).In 1986,he formedtheEPDP. Afterthe
India-SriLankaAgreement of 1987,Devananda moved
to parliamentary politicsandemergedas the mostvocal
-- Attached: calculated molecules --
1.
The following is a quantum chemistry calculation of 8 unconnected molecules or ions with the total composition H16O8, from the Open Molecules 2025 dataset.

Positions of all 24 atoms, in Å:
H: -0.06869 -0.29811 -0.65433
H: 0.86204 0.54442 0.20236
H: -4.19499 -1.27068 0.85565
H: -3.73340 -1.60842 -0.55250
H: 0.09575 0.73536 -4.87862
H: 0.00043 2.24826 -4.76876
H: 0.18364 3.12985 -1.04756
H: -0.71237 4.13626 -0.34447
H: 2.23517 2.78083 3.00640
H: 3.11924 2.46914 4.20277
H: -1.73537 -3.61236 1.83319
H: -1.27034 -2.26368 2.35747
H: 1.19884 -0.70075 3.04829
H: 2.47963 -1.49214 2.84014
H: 1.50384 -2.44976 -2.80482
H: 0.28238 -2.68978 -3.67687
O: 0.41897 -0.31117 0.17694
O: -3.95824 -0.86263 0.01516
O: 0.43609 1.54855 -5.26834
O: -0.72039 3.25657 -0.73826
O: 2.30005 2.91451 3.95872
O: -1.95298 -2.93279 2.48113
O: 2.04162 -0.90672 3.46817
O: 1.18909 -2.36474 -3.71184

## Properties
E_HOMO: -0.423 hartree
Structure (SMILES): O.O.O.O.O.O.O.O
Kohn-Sham gap: 11.194 eV
Energy above the lowest of the compared OMol25 structures with the same formula, charge and spin: 2.8883 eV
Electronic energy: -611.47647 Eh
F_max: 0.26 eV Å⁻¹

***

2.
The following is a quantum chemistry calculation of 3 unconnected molecules or ions with the total composition C43H70ClF9N3O8P in a non-equilibrium geometry, from the Open Molecules 2025 dataset.

Positions of all 135 atoms, in Å:
C: 5.42334 4.57586 -0.15788
C: 4.02414 5.33010 -0.24237
C: 2.84476 4.46337 0.37363
C: 2.24761 3.56561 -0.80320
C: 1.46400 2.32193 -0.19137
C: 1.14093 1.31059 -1.35560
C: 0.90452 -0.16839 -0.87232
C: 2.04186 -0.95078 -0.48550
C: 3.50907 -0.38614 -0.47733
C: 3.98690 -0.30027 1.04734
C: 4.81522 0.98124 1.36089
F: 2.82566 -0.24706 1.86316
C: 1.83866 -2.37130 -0.04877
P: 3.30782 -3.43210 0.48372
C: 2.95953 -3.85747 2.28617
C: 3.38942 -4.98902 -0.56586
C: 4.59693 -5.93852 -0.12270
C: 0.48932 -2.88715 -0.05647
C: 0.18250 -4.36140 0.37873
C: -0.26391 -5.16162 -0.89611
O: -1.03023 -6.05553 -0.77782
Cl: 0.35466 -4.73369 -2.55187
C: -0.68076 -2.06707 -0.43550
N: -1.92409 -2.66125 -0.40021
C: -2.93393 -1.83531 -0.73071
C: -4.36601 -2.47711 -0.65500
C: -5.13889 -2.49304 -2.02936
O: -6.53412 -2.28664 -1.75528
C: -7.09526 -1.22852 -2.51144
C: -8.54447 -0.94106 -1.97918
F: -8.98655 -2.08957 -1.34723
F: -9.42216 -0.75268 -3.03868
C: -8.68684 0.31608 -1.03712
F: -7.88754 1.37714 -1.42239
F: -9.98890 0.77955 -1.20513
C: -8.55986 -0.00566 0.50495
F: -7.51572 -0.85394 0.74079
F: -9.73466 -0.61624 0.90381
C: -8.40546 1.28591 1.41420
F: -7.56338 0.92488 2.46592
F: -9.60350 1.63649 2.00101
C: -2.68969 -0.41398 -1.10880
C: -3.93030 0.48839 -1.46220
N: -4.93643 0.56162 -0.37872
C: -5.03298 1.94941 0.13333
N: -1.49370 0.20108 -1.20258
C: -0.49978 -0.68687 -0.84189
H: 5.31051 3.63899 0.44190
H: 5.81345 4.28892 -1.16399
H: 6.20442 5.19085 0.35749
H: 4.15288 6.27850 0.33549
H: 3.79099 5.50677 -1.31886
H: 2.04845 5.11679 0.80832
H: 3.22437 3.81910 1.21136
H: 1.57745 4.23975 -1.38673
H: 3.13134 3.19126 -1.38475
criticof the LiberationTigersof TamilEelam(LTTE)
insideandoutsideParliament. He surviveda record 13
assassinationattemptsby theLTTE. Hedrawshis
electoralstrengthfromnorthernSri Lankaandhas
beena CabinetMinisterin the governmentsof Presid-
ents Chandrika Kumaratunga and Mahinda Ra-
japaksa. DevanandaalsospeaksSinhalaandhasgood
linksevenwithhard-lineSinhalaleaders.In thisinter-
view,he placesin contexttheTamil andMuslim
Sri Lankahas too manyproblems rightnow.Even
the festering issueof the rightsof the Tamil
people has not beensettled.Withone more
minority communityunderattack, whatare the
chancesof a solution to the Tamilquestion?
Thequestionof Tamilpeople’srights shouldhave
beensettledwiththesigningof theIndia-SriLanka
accord. At thattime,about 651TamilTigersanda total
of about2,000peoplehadlosttheirlives.Butbecause
thisopportunitywasnotseized,many thousandswere
killedindiscriminately untilthe endof the warin Mulli-
vaikkal[in2009].So wherewasthemistake?The
Tamilleadership did not use the opportunitywhichwas
presentedto them.Thisis ourstand.
Forthelongesttime, I havebeensaying thatthe
[implementationof the]13thAmendment[to the Sri
Lankan Constitution] is theonlyworkableandprac-
ticalsolution.EvenIndiasaidat the UNHRCin Geneva
lastyearthatthe full implementationof the
13thAmendmentwasthesolutionto the
Tamilproblem.EvenPresident Maithrip-
ala Sirisena hassaidthathis government
willnotbe ableto go beyondtheimple-
mentationof the 13thAmendment.
The13thAmendment is partof the Sri
LankanConstitution.Thereis no needfor a
two-thirds majority to implementthisbe-
causeit is already a partof the Constitution.
If thishasto be madea reality,theTamil
leadership shouldcomeforward andapplypressure....
If thishadbeenachieved, it wouldhavebeeneasierto
makeincremental progressfromthatpoint.
Whichevergovernmentcomesto power,if a solu-
tionto anyof the outstandingissuesis not foundwithin
six months to a year, thenit will not be possibletofind
oneat a laterdate. Thisis a realityfor anygovernment.
Whenthisgovernment cameto power,thereweremany
thingsit couldhaveaccomplished.Butit did not.
Whataboutthe currentproblems facing the
Muslimsin Sri Lanka?
As far as Muslims are concerned, theydid nothave
anyserious problems here.Theylivedin manypartsof
Sri Lankaandweredoingwell.Theyconsideredthem-
selvesas a separateethnicity,eventhough theyspeak
Tamil.Thewomenfromthe community beganwearing
the hijabandabayaeventhoughit wasnotpartof Sri
LankanMuslimculture, possiblybecausetheycanbe
identified as different.... Theyhavecreatedproblems
for themselves.
They [Muslim politicians] havebeenin powerfor a
-- Unrelated to this piece: calculated molecules --
1.
10 unconnected molecules or ions with the total composition C24H56Br10N2O7. Source: the Open Molecules 2025 dataset; level of theory: wB97M-V/def2-TZVPD.

```
99
Properties=species:S:1:pos:R:3:mulliken_charge:R:1
C 1.204 -5.832 0.889 -0.450
N 1.063 -7.185 0.256 0.960
O 1.556 -8.133 0.814 -0.566
O 0.425 -7.212 -0.778 -0.570
H 0.214 -5.381 0.883 0.036
H 1.793 -5.263 0.172 0.264
H 1.537 -5.973 1.909 0.281
C 0.072 2.830 -2.568 -1.124
N 0.035 1.487 -1.916 0.819
O 0.450 0.571 -2.595 -0.459
O -0.507 1.350 -0.848 -0.285
H -0.833 3.361 -2.280 0.357
H 0.071 2.604 -3.627 0.375
H 0.941 3.396 -2.247 0.361
Br 7.156 -1.281 1.946 -0.171
C 5.289 -1.351 2.594 -0.349
C 4.865 0.092 2.757 -0.678
Br 3.210 0.234 3.815 -0.153
H 5.244 -1.945 3.498 0.385
H 4.687 -1.817 1.820 0.094
H 4.694 0.641 1.840 0.422
H 5.612 0.612 3.351 0.462
Br -2.069 3.608 1.726 -0.210
C -2.087 2.011 2.887 -0.489
C -0.665 1.590 3.176 -0.227
Br -0.645 -0.073 4.200 -0.119
H -2.688 1.274 2.363 0.201
H -2.576 2.270 3.821 0.549
H -0.247 2.289 3.895 0.472
H -0.010 1.506 2.317 -0.128
Br 1.980 -3.842 3.495 -0.123
C 0.785 -3.470 5.002 -0.267
C 1.470 -2.509 5.952 -0.272
Br 0.302 -2.252 7.465 -0.146
H 0.552 -4.429 5.458 0.411
H -0.159 -3.042 4.676 0.053
H 1.586 -1.544 5.469 -0.156
H 2.451 -2.808 6.307 0.445
Br 2.549 -1.806 -0.198 -0.190
C 0.842 -1.419 0.718 0.497
C -0.286 -1.950 -0.151 -0.216
Br -1.996 -1.578 0.685 -0.158
H 0.740 -0.343 0.819 -0.303
H 0.799 -1.898 1.690 -0.022
H -0.200 -3.019 -0.346 0.465
H -0.205 -1.531 -1.155 -0.007
Br -5.877 -2.338 2.470 -0.164
C -4.112 -2.932 3.097 -0.489
C -3.668 -4.154 2.312 -0.670
Br -1.857 -4.638 2.896 -0.126
H -4.211 -3.263 4.130 0.446
H -3.413 -2.104 3.085 0.117
H -3.650 -3.979 1.241 0.400
H -4.305 -4.999 2.550 0.496
C 1.308 7.625 2.174 -1.302
C 1.402 6.276 1.541 0.018
O 2.089 5.348 2.358 -0.475
C 1.675 4.009 2.202 -0.109
C 1.947 3.427 0.812 -0.688
H 2.280 8.085 2.348 0.293
H 0.709 8.278 1.539 0.373
H 0.827 7.524 3.150 0.312
H 0.437 5.837 1.240 0.145
H 1.909 6.334 0.561 0.258
H 2.192 3.433 2.967 0.233
H 0.590 3.955 2.367 0.231
H 1.181 3.671 0.082 -0.012
H 1.995 2.339 0.938 0.163
H 2.959 3.694 0.500 0.461
C -3.714 1.379 -1.399 -0.635
C -3.584 1.244 -2.914 -0.033
O -4.433 2.157 -3.569 -0.435
C -5.803 1.863 -3.553 -0.295
C -6.117 0.555 -4.289 -1.017
H -4.762 1.157 -1.167 0.387
H -3.156 0.672 -0.787 -0.013
H -3.495 2.400 -1.093 0.224
H -2.557 1.511 -3.183 -0.062
H -3.672 0.229 -3.309 0.303
H -6.286 1.923 -2.569 0.284
H -6.318 2.684 -4.059 0.343
H -5.576 0.558 -5.233 0.282
H -7.182 0.396 -4.452 0.403
H -5.765 -0.288 -3.691 0.231
C 0.989 -2.448 -3.938 -0.985
C 2.176 -1.611 -4.355 -0.182
O 1.890 -0.993 -5.605 -0.317
C 2.873 -0.142 -6.129 -0.276
C 2.223 0.767 -7.162 -1.101
H 0.778 -3.154 -4.745 0.421
H 1.211 -2.981 -3.018 0.203
H 0.119 -1.794 -3.914 0.160
H 2.420 -0.845 -3.614 0.203
H 3.060 -2.232 -4.542 0.438
H 3.311 0.485 -5.338 0.277
H 3.691 -0.714 -6.586 0.317
H 1.516 0.213 -7.777 0.308
H 3.028 1.113 -7.816 0.356
H 1.731 1.626 -6.710 0.227
```

Output
longtime.Beingin powerfor longencourages peopleto
act withimpunity. Somein the communityhavebeen
behavingwithimpunity. Also,whyis it thatknivesand
swordsare storedin placesof worship? It is obviously
not to cut the grassthere.Theyare storedfor a purpose
andthatis a problem.
What comes next are data records, not part of the page >
____________
A molecular structure, C21H21IrN2O3S4. Source: the OMol25 dataset; level of theory: the ωB97M-V functional and the def2-TZVPD basis.

- energy above the lowest of the compared OMol25 structures with the same formula, charge and spin (kJ/mol) = 326.7
- spin multiplicity = 2
- net charge = -1
- maximum force (eV/A) = 1.58
- HOMO energy (alpha / beta) (eV) = -4.5 / -4.5
- HOMO-LUMO gap (alpha / beta) (eV) = 6.72 / 5.63

Last column: Löwdin spin population.
CARTESIAN COORDINATES (ANGSTROEM)
Ir -0.0157 1.0571 1.7591  0.0842
C -3.3408 0.5115 -1.0505  0.0009
C -2.5478 1.1276 0.0705  0.0031
N -1.8608 0.3552 0.8775  0.0073
N -2.0412 -0.9866 0.7597  0.0026
C -1.4760 -1.7110 1.6576  -0.0019
S -0.5811 -1.1528 3.0076  -0.0105
S -1.6321 -3.4659 1.4368  -0.0007
C -1.3231 -3.5610 -0.3772  -0.0003
C 0.1098 -3.8816 -0.6743  0.0000
C 0.5886 -5.1823 -0.5327  0.0000
C 1.9140 -5.4803 -0.8021  -0.0001
C 2.7816 -4.4786 -1.2175  0.0002
C 2.3139 -3.1803 -1.3550  0.0013
C 0.9866 -2.8819 -1.0812  0.0013
C -2.5972 2.5480 0.2701  0.0000
C -3.2837 3.3702 -0.6489  0.0003
C -3.4531 4.7144 -0.4449  -0.0001
C -2.9187 5.3098 0.7081  0.0002
C -2.2244 4.5564 1.6153  -0.0003
C -2.0358 3.1607 1.4399  0.0006
O -1.4150 2.5000 2.3535  0.0011
H -3.2267 -0.5652 -1.0254  0.0001
H -2.9817 0.8956 -2.0055  0.0002
H -4.3984 0.7586 -0.9472  0.0000
H -1.6057 -2.5871 -0.7664  0.0001
H -1.9956 -4.3287 -0.7572  0.0000
H -0.0909 -5.9628 -0.2085  0.0000
H 2.2712 -6.4968 -0.6895  0.0000
H 3.8162 -4.7128 -1.4351  0.0000
H 2.9881 -2.3947 -1.6744  0.0005
H 0.6282 -1.8626 -1.1837  0.0012
H -3.6899 2.9276 -1.5488  0.0000
H -3.9927 5.3183 -1.1635  0.0000
H -3.0450 6.3730 0.8736  0.0000
H -1.7894 4.9957 2.5040  0.0000
C 2.5816 0.6860 -2.3735  0.0125
C 2.0091 0.5658 -0.9812  0.1497
S 0.4462 1.2080 -0.7684  0.2842
C 2.6932 -0.0669 0.0324  0.1240
C 4.0718 -0.6505 -0.1554  0.0059
S 2.0495 -0.2948 1.5880  0.3042
H 1.8723 1.1977 -3.0193  0.0015
H 2.7915 -0.2971 -2.8041  0.0028
H 3.5100 1.2608 -2.3575  0.0058
H 4.3651 -0.6979 -1.2030  0.0003
H 4.1025 -1.6535 0.2718  0.0017
H 4.8031 -0.0438 0.3823  0.0022
O 1.9760 4.4277 3.3893  0.0013
C 1.4716 3.3156 3.4158  0.0004
O 1.3890 2.4790 2.4554  0.0126
H 1.0317 2.9576 4.3836  -0.0002
____________
landsbelongingto Tamilswereforciblytakenaway,
thoseof Tamildescent weretargetedfor detentionand
otherpunitivemeasures, anddemocratic protestsof the
Tamilpeoplewereput downwitha heavyhand.Thatis
whyTamilsneededa solution.
‘Sri Lanka needs a strong leadership’